**Request:**
Could you set down all of the data below verbatim?
**File:**
<<<
Entry 1:
Entry from the Materials Project database: an optimized crystal structure of Na8MgZr3Si5SO24 (PBE).

Cell and atoms, written as extended XYZ:
```
126
Lattice="-3.1186 -3.8663 7.8403 1.8018 -5.3196 -7.4080 21.5013 -2.5640 7.1097" Properties=species:S:1:pos:R:3 pbc="T T T"
O 12.4573 -4.1925 7.5352
O 2.3976 -4.2475 -3.0936
O 2.2751 -4.2129 2.1719
O 21.3022 -5.5350 4.7532
O 14.1608 -5.4875 9.4585
O 9.8927 -6.2477 10.4693
O 19.8909 -3.4138 5.2665
O 18.7275 -7.5139 7.9209
O 10.1351 -3.9502 6.2114
O 10.2285 -5.5385 -3.1154
O 18.5460 -5.0791 9.4053
O 20.8738 -8.1925 0.5373
O 5.9177 -1.6691 3.6759
O 7.6691 -7.5332 0.0326
O 8.4823 -4.7680 -1.1539
O 3.2573 -7.8656 1.5902
O 16.0710 -8.3717 3.2968
O 12.8698 -7.3144 0.5107
O 14.1299 -10.0015 3.9503
O 11.5644 -6.9512 8.7782
O 5.4241 -6.4109 -4.3318
O 16.2644 -6.2735 -0.8999
O 14.3173 -7.8808 8.0100
O 12.8822 -4.5514 1.5249
O -1.2859 -3.6264 4.5246
O 1.6591 -6.6554 -1.8128
O 16.1135 -5.6623 4.2167
O 3.3017 -5.5481 5.9201
O 14.6866 -3.5515 4.7431
O -1.0352 -6.2351 2.7682
O 8.0852 -9.3753 2.0628
O 18.9291 -8.2634 2.5015
O 21.5367 -8.1669 3.0537
O 15.1549 -5.4117 6.7435
O 16.9266 -6.2672 1.5892
O 0.4166 -8.3784 2.3186
O 12.0274 -6.8399 3.2192
O 14.8307 -5.3858 11.9867
O 1.3605 -3.3953 5.1059
O 9.2705 -6.3214 8.1743
O 1.2833 -6.5551 4.1394
O 7.4788 -4.9608 1.7895
O -0.2748 -3.4687 1.5891
O 8.1263 -4.9388 4.2773
O 12.0773 -2.3651 5.4434
O 15.7517 -10.0334 7.4854
O 18.0441 -7.5522 5.4043
O 11.4931 -9.0733 4.6308
O 18.9742 -5.3027 3.4638
O 10.9602 -5.5096 -0.5681
O 7.3170 -4.3712 6.9835
O 4.1536 -3.2092 4.2357
O 5.4272 -8.1160 2.6811
O 3.9347 -5.5099 8.5001
O 8.6530 -2.6955 2.8978
O 17.0403 -3.7802 5.9935
O 10.0765 -4.8361 2.3204
O 5.7948 -3.8950 -0.4310
O 1.5142 -4.2172 -0.3604
O 12.7253 -6.8184 5.7595
O 9.9871 -7.7765 1.3086
O 6.0261 -6.3634 -2.0288
O -0.5996 -3.5332 7.0340
O 20.5299 -8.2992 6.0208
O 7.2995 -7.0146 6.0367
O 5.0459 -6.4456 0.8786
O 17.8081 -7.5523 10.6240
O 18.5989 -9.9225 6.6902
O 10.1022 -6.9380 5.1895
O 1.6431 -1.8536 0.9113
O 4.1372 -6.1370 3.1249
O 4.4690 -1.7038 0.0840
Na 23.1697 -7.8622 -0.3305
Na 14.9021 -3.4603 8.2062
Na 3.5801 -5.1698 -1.1951
Na 12.3897 -9.1918 2.2310
Na 2.2729 -2.1559 -1.7355
Na 7.9984 -7.4459 3.5166
Na 16.2859 -6.4633 8.6324
Na 4.7211 -3.9423 1.8794
Na 5.6452 -5.2492 5.2565
Na 12.2736 -4.5160 4.2080
Na 14.6052 -6.6406 2.4755
Na 13.7234 -5.3873 -0.8460
Na 17.5515 -5.2325 11.7425
Na 15.2030 -7.6568 5.6879
Na 13.7467 -7.6849 10.3884
Na 6.3476 -6.3160 8.3543
Na 2.4878 -6.5497 -4.1983
Na 3.3249 -3.2659 6.6710
Na 19.1764 -5.2338 6.9018
Na 12.4248 -6.5513 -3.8239
Na 3.2438 -7.6771 4.9358
Na 17.8692 -9.6261 9.1448
Na 0.8766 -6.4450 0.6381
Na 8.0471 -2.4622 5.2678
Mg 13.3700 -6.0292 7.5539
Mg 2.2408 -4.8404 4.0986
Mg 4.5719 -4.8131 10.2705
Si 14.2785 -9.4900 7.9914
Si 20.2531 -4.4685 4.0619
Si 2.8731 -6.0715 7.4212
Si 11.4906 -3.1529 6.7915
Si 18.9588 -8.3313 6.5158
Si -0.1401 -2.9797 5.5169
Si 1.2989 -3.4908 1.1063
Si 8.6104 -4.3025 2.8269
Si 20.4096 -8.7581 2.0059
Si 13.9082 -4.6607 10.8220
Si 15.7346 -4.6366 5.4518
Si 11.6434 -7.4169 4.7403
Si 10.0590 -4.7518 -1.7135
Si -0.0033 -7.2910 3.5065
Si 8.6792 -8.6336 0.7593
Zr 11.2432 -6.2410 1.3454
Zr 0.5243 -4.8753 -2.2011
Zr 7.0437 -5.5683 -0.0525
Zr 19.6426 -6.8828 9.7443
Zr 8.8906 -5.5597 6.0843
Zr 17.6732 -6.9325 3.4726
Zr 3.1091 -0.4633 0.9531
Zr 15.7963 -6.9501 -2.7009
Zr 16.9592 -11.3545 6.4759
S 6.3099 -7.0939 -3.3270
S 4.4768 -7.1534 2.0971
S 10.1649 -6.9806 9.1872
```

Summary:
Formation energy from the elements, eV per formula unit: -123.001
Size of the total moment, μB/cell: 0.00

---

Entry 2:
Entry from the Materials Project database: an optimized crystal structure of Na10Mg4Zr4Si5S7O48 (PBE).

Cell and atoms, written as extended XYZ:
```
234
Lattice="-2.0836 17.2838 4.9838 -6.0832 -6.2153 2.5515 11.9264 -3.8931 19.1440" Properties=species:S:1:pos:R:3 pbc="T T T"
O 3.4897 2.8865 22.1387
O 1.2978 8.9934 12.7539
O 0.5702 6.6662 20.2458
O 6.8114 -2.5416 14.2636
O 6.9626 -3.4357 21.8217
>>>
**Written answer:**
Entry 1:
Entry from the Materials Project database: an optimized crystal structure of Na8MgZr3Si5SO24 (PBE).

Cell and atoms, written as extended XYZ:
```
126
Lattice="-3.1186 -3.8663 7.8403 1.8018 -5.3196 -7.4080 21.5013 -2.5640 7.1097" Properties=species:S:1:pos:R:3 pbc="T T T"
O 12.4573 -4.1925 7.5352
O 2.3976 -4.2475 -3.0936
O 2.2751 -4.2129 2.1719
O 21.3022 -5.5350 4.7532
O 14.1608 -5.4875 9.4585
O 9.8927 -6.2477 10.4693
O 19.8909 -3.4138 5.2665
O 18.7275 -7.5139 7.9209
O 10.1351 -3.9502 6.2114
O 10.2285 -5.5385 -3.1154
O 18.5460 -5.0791 9.4053
O 20.8738 -8.1925 0.5373
O 5.9177 -1.6691 3.6759
O 7.6691 -7.5332 0.0326
O 8.4823 -4.7680 -1.1539
O 3.2573 -7.8656 1.5902
O 16.0710 -8.3717 3.2968
O 12.8698 -7.3144 0.5107
O 14.1299 -10.0015 3.9503
O 11.5644 -6.9512 8.7782
O 5.4241 -6.4109 -4.3318
O 16.2644 -6.2735 -0.8999
O 14.3173 -7.8808 8.0100
O 12.8822 -4.5514 1.5249
O -1.2859 -3.6264 4.5246
O 1.6591 -6.6554 -1.8128
O 16.1135 -5.6623 4.2167
O 3.3017 -5.5481 5.9201
O 14.6866 -3.5515 4.7431
O -1.0352 -6.2351 2.7682
O 8.0852 -9.3753 2.0628
O 18.9291 -8.2634 2.5015
O 21.5367 -8.1669 3.0537
O 15.1549 -5.4117 6.7435
O 16.9266 -6.2672 1.5892
O 0.4166 -8.3784 2.3186
O 12.0274 -6.8399 3.2192
O 14.8307 -5.3858 11.9867
O 1.3605 -3.3953 5.1059
O 9.2705 -6.3214 8.1743
O 1.2833 -6.5551 4.1394
O 7.4788 -4.9608 1.7895
O -0.2748 -3.4687 1.5891
O 8.1263 -4.9388 4.2773
O 12.0773 -2.3651 5.4434
O 15.7517 -10.0334 7.4854
O 18.0441 -7.5522 5.4043
O 11.4931 -9.0733 4.6308
O 18.9742 -5.3027 3.4638
O 10.9602 -5.5096 -0.5681
O 7.3170 -4.3712 6.9835
O 4.1536 -3.2092 4.2357
O 5.4272 -8.1160 2.6811
O 3.9347 -5.5099 8.5001
O 8.6530 -2.6955 2.8978
O 17.0403 -3.7802 5.9935
O 10.0765 -4.8361 2.3204
O 5.7948 -3.8950 -0.4310
O 1.5142 -4.2172 -0.3604
O 12.7253 -6.8184 5.7595
O 9.9871 -7.7765 1.3086
O 6.0261 -6.3634 -2.0288
O -0.5996 -3.5332 7.0340
O 20.5299 -8.2992 6.0208
O 7.2995 -7.0146 6.0367
O 5.0459 -6.4456 0.8786
O 17.8081 -7.5523 10.6240
O 18.5989 -9.9225 6.6902
O 10.1022 -6.9380 5.1895
O 1.6431 -1.8536 0.9113
O 4.1372 -6.1370 3.1249
O 4.4690 -1.7038 0.0840
Na 23.1697 -7.8622 -0.3305
Na 14.9021 -3.4603 8.2062
Na 3.5801 -5.1698 -1.1951
Na 12.3897 -9.1918 2.2310
Na 2.2729 -2.1559 -1.7355
Na 7.9984 -7.4459 3.5166
Na 16.2859 -6.4633 8.6324
Na 4.7211 -3.9423 1.8794
Na 5.6452 -5.2492 5.2565
Na 12.2736 -4.5160 4.2080
Na 14.6052 -6.6406 2.4755
Na 13.7234 -5.3873 -0.8460
Na 17.5515 -5.2325 11.7425
Na 15.2030 -7.6568 5.6879
Na 13.7467 -7.6849 10.3884
Na 6.3476 -6.3160 8.3543
Na 2.4878 -6.5497 -4.1983
Na 3.3249 -3.2659 6.6710
Na 19.1764 -5.2338 6.9018
Na 12.4248 -6.5513 -3.8239
Na 3.2438 -7.6771 4.9358
Na 17.8692 -9.6261 9.1448
Na 0.8766 -6.4450 0.6381
Na 8.0471 -2.4622 5.2678
Mg 13.3700 -6.0292 7.5539
Mg 2.2408 -4.8404 4.0986
Mg 4.5719 -4.8131 10.2705
Si 14.2785 -9.4900 7.9914
Si 20.2531 -4.4685 4.0619
Si 2.8731 -6.0715 7.4212
Si 11.4906 -3.1529 6.7915
Si 18.9588 -8.3313 6.5158
Si -0.1401 -2.9797 5.5169
Si 1.2989 -3.4908 1.1063
Si 8.6104 -4.3025 2.8269
Si 20.4096 -8.7581 2.0059
Si 13.9082 -4.6607 10.8220
Si 15.7346 -4.6366 5.4518
Si 11.6434 -7.4169 4.7403
Si 10.0590 -4.7518 -1.7135
Si -0.0033 -7.2910 3.5065
Si 8.6792 -8.6336 0.7593
Zr 11.2432 -6.2410 1.3454
Zr 0.5243 -4.8753 -2.2011
Zr 7.0437 -5.5683 -0.0525
Zr 19.6426 -6.8828 9.7443
Zr 8.8906 -5.5597 6.0843
Zr 17.6732 -6.9325 3.4726
Zr 3.1091 -0.4633 0.9531
Zr 15.7963 -6.9501 -2.7009
Zr 16.9592 -11.3545 6.4759
S 6.3099 -7.0939 -3.3270
S 4.4768 -7.1534 2.0971
S 10.1649 -6.9806 9.1872
```

Summary:
Formation energy from the elements, eV per formula unit: -123.001
Size of the total moment, μB/cell: 0.00

---

Entry 2:
Entry from the Materials Project database: an optimized crystal structure of Na10Mg4Zr4Si5S7O48 (PBE).

Cell and atoms, written as extended XYZ:
```
234
Lattice="-2.0836 17.2838 4.9838 -6.0832 -6.2153 2.5515 11.9264 -3.8931 19.1440" Properties=species:S:1:pos:R:3 pbc="T T T"
O 3.4897 2.8865 22.1387
O 1.2978 8.9934 12.7539
O 0.5702 6.6662 20.2458
O 6.8114 -2.5416 14.2636
O 6.9626 -3.4357 21.8217